Bheema 20th December 2024 Written Episode, Written Update on
Bheema says that it does not mean that she got scared but she was just counting them so she can become strong, she is going to go and get justice in the court as Baba Sahib said no matter the out come but they should fight with immense courage, they both hear the beating of the drums so turn back to see Raj Shekar walking towards their house with the Shugun and then Mehwa also comes out with his brothers, Mehwa is staring at Raj Shekar who asks about Mehwa then he reveals his identity, Raj Shekar says he has brought the Shugun for his daughter Bheema on behalf of his son Jag Mohan. Bheema is shocked when PhulMatia asks Bheema to burn the flag and learn how to manage the house hold as she is about to be married. Raj Shekar asks Mehwa to take it who hesitantly accepts the Shugun from Raj Shekar while Bheema
Dhania asks Bindiya how is it possible that Kalasha Bua has not kept any condition but hearing this Bindiya is very tensed.
Bheema refuses to get married but Mehwa asks her to go into the house, Bheema says that her mother would be freed even then but Gaya orders her to go into the house, Bheema replies she has to go to the court and find a lawyer in order to help her mother, PhulMatia warns that Bheema should learn to stay in her limits, Raj Shekar asks Mehwa if he has not taught any manners to Bheema that she is so ill mannered, Chabelia replies that Bheema is not ill mannered but is very troubled, Chabelia calls him brother when Kalasha Bua asks if he is going to call the In Laws as brother, Kalasha bua says she knew Raj Shekar would come here to give the Shugun this is why she has also brought the gift and so asks Raj Shekar to place this Chunri over the head of Bheema, Kalasha Bua lets go of the Chunri which falls on the floor, Bheema tries to run away but both Mehwa and PhulMatia hold her hands then Bheema refuses to get married saying she has to help her mother, Kalasha Bua orders Raj Shekar to place the Chunri over her head, Chabelia says that Mehwa is forcing her and even Kundan explains it is wrong but Gaya orders them both to stay quiet. Kalasha Bua asks why is Raj Shekar waiting as he should place the Chunri over the head of Bheema, Raj Shekar follows the orders of Kalasha Bua, seeing which those who are against Bheema start to smile including Nanku. Raj Shekar tells Mehwa that from today his daughter is going to be their daughter in aw. Kalika s glad and then even throws some money on the floor, instructing Raj Shekar to even give some money to Bheema as per the tradition. Kalasha Bua asks them all to clap and play the drums, Mehwa is controlling his emotions wile staring at everyone, Chabelia furiously goes back into the house followed by Kundan.
-- begin --
! Ba5Hg3Br12 | Alexandria via LeMat-Bulk | PBE-GGA | optimized geometry; values from VASP
! theoretical density: 4.01 g/cm³
! VASP energy: -2.996 eV per atom
! raw formation energy: -1.466 eV per atom
! M_tot: 0.01 Bohr magnetons per cell
! symmetry: Ia-3d, No. 230
&SYSTEM
  ibrav = 0, nat = 80, ntyp = 3
/
ATOMIC_SPECIES
Ba 137.33 Ba.upf
Hg 200.59 Hg.upf
Br 79.90 Br.upf
ATOMIC_POSITIONS angstrom
Ba 0.000 0.000 0.000
Ba 4.880 4.880 -4.880
Ba 4.880 -4.880 4.880
Ba 9.759 0.000 0.000
Ba 14.639 2.440 0.000
Ba 9.759 -4.880 7.319
Ba 7.319 9.759 -4.880
Ba 7.319 0.000 4.880
Ba 4.880 7.319 0.000
Ba 9.759 4.880 2.440
Ba -4.880 4.880 4.880
Ba 0.000 9.759 0.000
Ba 0.000 0.000 9.759
Ba 4.880 4.880 4.880
Ba 0.000 4.880 7.319
Ba 4.880 2.440 9.759
Ba 2.440 9.759 4.880
Ba 2.440 0.000 14.639
Ba 0.000 14.639 2.440
Ba -4.880 7.319 9.759
Hg 4.880 2.440 0.000
Hg 9.759 4.880 -2.440
Hg 2.440 0.000 4.880
Hg 12.199 0.000 4.880
Hg 0.000 4.880 2.440
Hg 4.880 -2.440 9.759
Hg 4.880 12.199 0.000
Hg 9.759 4.880 7.319
Hg -2.440 9.759 4.880
Hg 7.319 9.759 4.880
Hg 0.000 4.880 12.199
Hg 4.880 7.319 9.759
Br 2.857 -0.573 1.424
Br 11.782 6.303 -5.452
Br 9.186 -1.424 2.857
Br 15.211 -2.023 3.456
Br 12.616 0.573 1.424
Br 11.782 -3.456 5.452
Br 1.424 2.857 -0.573
Br 13.215 4.307 -2.023
Br 6.303 5.452 -2.023
Br 8.336 2.857 0.573
Br -0.573 1.424 2.857
Br 5.452 -2.023 6.303
Br 9.186 8.336 -2.857
Br 5.452 2.023 3.456
Br 8.336 -2.857 9.186
Br 6.303 -5.452 11.782
Br 3.456 5.452 2.023
Br 11.183 6.902 0.573
Br 2.857 9.186 -1.424
Br 11.782 3.456 4.307
Br 5.452 11.782 -3.456
Br 9.186 1.424 6.902
Br 2.023 3.456 5.452
Br 2.857 0.573 8.336
Br 6.902 9.186 1.424
Br 7.736 6.303 4.307
Br 0.573 8.336 2.857
Br 4.307 -2.023 13.215
Br -2.023 6.303 5.452
Br 6.902 0.573 11.183
Br -1.424 2.857 9.186
Br 6.303 4.307 7.736
Br 3.456 15.211 -2.023
Br 1.424 12.616 0.573
Br 4.307 7.736 6.303
Br 0.573 1.424 12.616
Br 4.307 11.782 3.456
Br 10.332 8.336 6.902
Br 1.424 6.902 9.186
Br 3.456 4.307 11.782
Br -3.456 5.452 11.782
Br 8.336 6.902 10.332
Br -2.023 13.215 4.307
Br -2.857 9.186 8.336
Br -5.452 11.782 6.303
Br 0.573 11.183 6.902
Br -2.023 3.456 15.211
Br 6.902 10.332 8.336
CELL_PARAMETERS angstrom
-9.759 9.759 9.759
9.759 -9.759 9.759
9.759 9.759 -9.759

* * * * *

Computed, not measured: B3RhI at its PBEsol-relaxed geometry at the meta-GGA SCAN level of DFT.

Cell: 4.2747 4.2747 4.2747 Å, 90.00 90.00 90.00°
Fractional coordinates of all 5 atoms:
B (0.5000, 0.0000, 0.0000)
B (0.0000, 0.0000, 0.5000)
B (0.0000, 0.5000, 0.0000)
I (0.0000, 0.0000, 0.0000)
Rh (0.5000, 0.5000, 0.5000)

Results
calculated total energy: -15.58 eV/atom
space group: Pm-3m, No. 221


Computed, not measured: B2RhI at its PBEsol-relaxed geometry at the meta-GGA SCAN level of DFT.
-- stop --
• End of the crystal structures:
Bindiya asks how many time does she have to tell her that Kalasha Bua has not kept any condition and she should have some tea but Dhania asks Bindiya to go and tell Kalasha Bua to meet her, the Inspector asks what does Bindiya think is going on here because if Bheema had brought this tea then Dhania would have surely drank it and but why would she give any importance to her, Dhania tries to say that he is just instigating her however Bindiya leaves saying that from now on Bheema is going to bring the tea, Dhania asks the Inspector why is he filling the mind of the daughter with hatred so the Inspector asks if she cannot see what Bheema is doing to the society.
Kalasha Bua leaves saying she would inform them after setting the date of the functions and so Kalasha Bua leaves, PhulMatia asks why is Bheema crying when this day is of happiness for every girl and then Bheema runs into the house saying she would not get married, Bheema starts to cry while standing against the pillar, Kundan and Chabelia are also crying, Bheema does snot know what to do so she sits down against it. Bheema requests her uncle to do something and not cry as she does not want to get married, Mehwa coming says no one is going to do anything as he will not allow, h says Bheema will surely get married. Kundan holds the feet of Mehwa pleading with him to not do it along with Chabelia, they both ask what is he doing. Mehwa orders them both to get ready as today is the hearing of Dhania and they all would go together, he sits beside Bheema ordering her to not tell anything to her mother about what is happening here, he makes Bheema swear on his life and also on Baba Sahib. Bheema, Kundan and Chabelia keep crying when Mehwa gets up to leave and he even takes both Kundan and Chabelia with him. Bheema realizes how Bindiya has returned so asks her about how is their mother, Bindiya thinks about what the Inspector said to her so she looks at the glass of tea then angrily holds the arm of Bheema while she pours it all over her hand, Bindiya then throws the glass on the floor while Bheema starts crying, Bindiya blames their mother is not nice and it is all happening due to Bheema, Bindiya threatens to never talk to her if their mother is not released today, Bheema keeps trying to twist her hand so it feels better. Baba Sahib comes to Bheema who requests him to do something, she asks what would he do when she forgets he cannot do something but he can even advice her, Baba Sahib blows onto the burnt hand of Bheema and even applies the cloth saying that she should just think about going to the court and find a lawyer while think about everything else later, Bheema agrees with Baba Sahib then she leaves, Baba Sahib is still tensed.
# Inserted here: calculated crystals
........
The following is a DFT calculation (PBE-GGA) of an optimized crystal structure of PuZr2CoN4.

```
16
Lattice="1.620 -5.443 0.000 1.620 5.443 0.000 0.000 0.000 11.084" Properties=species:S:1:pos:R:3 pbc="T T T"
Pu 1.620 4.267 8.313
Pu 1.620 -4.267 2.771
Zr 1.620 1.436 6.154
Zr 1.620 1.436 10.472
Zr 1.620 -1.436 0.612
Zr 1.620 -1.436 4.930
Co 1.620 3.730 2.771
Co 1.620 -3.730 8.313
N 0.000 0.000 0.000
N 0.000 0.000 5.542
N 1.620 2.483 1.312
N 1.620 2.483 4.230
N 1.620 0.526 8.313
N 1.620 -0.526 2.771
N 1.620 -2.483 6.855
N 1.620 -2.483 9.772
```

Formation energy from raw total energies in eV/atom: -1.2203
DOS(E_F) in states/eV per cell: 14.588
Calculated volume in Å³ per atom: 12.2


No. 1
A relaxed structure of Fe2SiRh. Source: the Alexandria database, functional PBE-GGA.

Calculated values
The value obtained for the uncorrected formation energy is -0.321 eV per atom. For the density, the calculation gives 8.19 g cm⁻³.

abc: 3.0035 3.9751 4.1206
angles: 90.00 90.00 90.00
Last column: nearest neighbours and their distance in Å.
Element x y z (fractional)
Fe 0.0000 0.0000 0.0000  4 Fe 2.49, 4 Rh 2.55
Fe 0.5000 0.5000 0.0000  4 Fe 2.49, 4 Si 2.55
Si 0.0000 0.5000 0.5000  4 Rh 2.49, 4 Fe 2.55
Rh 0.5000 0.0000 0.5000  4 Si 2.49, 4 Fe 2.55

---

No. 2
A relaxed structure of Fe2SiRh. Source: the Alexandria database, functional PBE-GGA.

Calculated values
The value obtained for the uncorrected formation energy is -0.265 eV per atom. For the density, the calculation gives 8.12 g cm⁻³.

abc: 4.6947 4.6947 4.6947
angles: 135.80 135.80 64.29
Last column: nearest neighbours and their distance in Å.
Element x y z (fractional)
Fe 0.2500 0.7500 0.5000  4 Fe 2.50, 4 Rh 2.66, 4 Si 2.66
Fe 0.7500 0.2500 0.5000  4 Fe 2.50, 4 Rh 2.66, 4 Si 2.66
Si 0.0000 0.0000 0.0000  4 Rh 2.50, 8 Fe 2.66
Rh 0.5000 0.5000 0.0000  4 Si 2.50, 8 Fe 2.66

---

Number 1: V 49 Å³ per cell, size of the total moment 4.89 μB per formula unit. Number 2: V 50 Å³ per cell, size of the total moment 4.90 μB per formula unit.
........
Update Credit to: Sona